Entries.
........
Record 1
ScIn3 | the Materials Project database | meta-GGA r2SCAN | optimized geometry; space-group type = Pm-3m
1.0
-2.827 2.179 -2.733
-3.040 0.203 3.306
1.726 3.927 1.346
In Sc
3 1
Direct
0.500 0.000 0.500
0.000 0.500 0.500
0.500 0.500 0.000
0.000 0.000 0.000



Record 2
Sc3In | the Materials Project database | meta-GGA r2SCAN | optimized geometry; relative energy among the computed polymorphs = 18 meV per atom; space-group type = Pm-3m
1.0
4.533 0.000 0.000
0.000 4.529 0.000
0.000 0.000 4.530
Sc In
3 1
Direct
0.000 0.500 0.500
0.500 0.500 0.000
0.500 0.000 0.500
0.000 0.000 0.000



Record 3
Sc2In | the Materials Project database | meta-GGA r2SCAN | optimized geometry; space-group type = P6_3/mmc
1.0
5.043 0.000 0.000
-2.522 4.367 0.000
0.000 0.000 6.302
In Sc
2 4
Direct
0.333 0.667 0.250
0.667 0.333 0.750
0.667 0.333 0.250
0.000 0.000 0.000
0.333 0.667 0.750
0.000 0.000 0.500



Record 4
Sc3In | the Materials Project database | meta-GGA r2SCAN | optimized geometry; relative energy among the computed polymorphs = 0 meV per atom; space-group type = P6_3/mmc
1.0
-4.547 -4.430 -0.860
3.163 0.305 5.563
-3.584 3.318 1.856
Sc In
6 2
Direct
0.169 0.338 0.750
0.831 0.169 0.250
0.662 0.831 0.750
0.338 0.169 0.250
0.831 0.662 0.250
0.169 0.831 0.750
0.333 0.667 0.250
0.667 0.333 0.750



The following calculated formation energy values (in eV/atom) correspond, in order, to the records above: -0.38; -0.36; -0.47; -0.38.
The following M_tot values (in Bohr magnetons per cell) correspond, in order, to the records above: 0.00; 1.94; 1.91; 3.79.
........

What to do.
What is needed: give back everything earlier on without altering anything.

Result.
Record 1
ScIn3 | the Materials Project database | meta-GGA r2SCAN | optimized geometry; space-group type = Pm-3m
1.0
-2.827 2.179 -2.733
-3.040 0.203 3.306
1.726 3.927 1.346
In Sc
3 1
Direct
0.500 0.000 0.500
0.000 0.500 0.500
0.500 0.500 0.000
0.000 0.000 0.000



Record 2
Sc3In | the Materials Project database | meta-GGA r2SCAN | optimized geometry; relative energy among the computed polymorphs = 18 meV per atom; space-group type = Pm-3m
1.0
4.533 0.000 0.000
0.000 4.529 0.000
0.000 0.000 4.530
Sc In
3 1
Direct
0.000 0.500 0.500
0.500 0.500 0.000
0.500 0.000 0.500
0.000 0.000 0.000



Record 3
Sc2In | the Materials Project database | meta-GGA r2SCAN | optimized geometry; space-group type = P6_3/mmc
1.0
5.043 0.000 0.000
-2.522 4.367 0.000
0.000 0.000 6.302
In Sc
2 4
Direct
0.333 0.667 0.250
0.667 0.333 0.750
0.667 0.333 0.250
0.000 0.000 0.000
0.333 0.667 0.750
0.000 0.000 0.500



Record 4
Sc3In | the Materials Project database | meta-GGA r2SCAN | optimized geometry; relative energy among the computed polymorphs = 0 meV per atom; space-group type = P6_3/mmc
1.0
-4.547 -4.430 -0.860
3.163 0.305 5.563
-3.584 3.318 1.856
Sc In
6 2
Direct
0.169 0.338 0.750
0.831 0.169 0.250
0.662 0.831 0.750
0.338 0.169 0.250
0.831 0.662 0.250
0.169 0.831 0.750
0.333 0.667 0.250
0.667 0.333 0.750



The following calculated formation energy values (in eV/atom) correspond, in order, to the records above: -0.38; -0.36; -0.47; -0.38.
The following M_tot values (in Bohr magnetons per cell) correspond, in order, to the records above: 0.00; 1.94; 1.91; 3.79.